Find "-2.6064" and "1.9542 -0.1015" in the notes below, and copy these two lines and those between.

<<<
[1]
Formula: C5H14
Source: the Open Molecules 2025 dataset
Level of theory: ωB97M-V with the def2-TZVPD basis set

Last columns: bonded neighbours and bond lengths (Å).
CARTESIAN COORDINATES (ANGSTROEM)
1 C 0.5198 1.7020 -3.2246  C2 1.573, H3 1.088, H4 1.088, H5 1.090
2 C 1.5998 1.5081 -2.0979  C1 1.573, H6 1.090, H7 1.086, H8 1.092
3 H 0.5525 0.8188 -3.8596  C1 1.088
4 H -0.4862 1.7756 -2.8155  C1 1.088
5 H 0.8274 2.6108 -3.7418  C1 1.090
6 H 1.2154 0.9153 -1.2684  C2 1.090
7 H 2.0701 2.4376 -1.7925  C2 1.086
8 H 2.2958 0.8379 -2.6064  C2 1.092
9 C -0.5801 -1.6376 2.2895  C10 1.513, C11 1.537, H12 1.090, H13 1.078
10 C 0.3120 -0.4390 2.0496  C9 1.513, H14 1.089, H15 1.093, H18 1.095
11 C -1.9678 -1.5113 1.6413  C9 1.537, H16 1.093, H17 1.099, H19 1.065
12 H -0.6829 -1.8873 3.3457  C9 1.090
13 H -0.2102 -2.5484 1.8478  C9 1.078
14 H 0.2627 -0.0606 1.0299  C10 1.089
15 H -0.0044 0.3625 2.7217  C10 1.093
16 H -2.1530 -2.1705 0.7895  C11 1.093
17 H -2.1481 -0.5357 1.1696  C11 1.099
18 H 1.3776 -0.6246 2.2191  C10 1.095
19 H -2.8004 -1.5536 2.3031  C11 1.065

<S²>: 0.750
Energy relative to the best compared isomer or geometry (same formula, charge and spin) in kcal/mol: 11.0
Net charge: -1
Gap between HOMO and LUMO (alpha / beta) in eV: 2.71 / 12.15
Multiplicity: 2
E in eV: -5410.0315

Atomic partial charges in e from the natural (NBO) method, atoms 1 to 4: atom 1 (C): -0.7362, atom 2 (C): -0.8728, atom 3 (H): 0.1876, atom 4 (H): 0.1926



[2]
Formula: C5H14
Source: the Open Molecules 2025 dataset
Level of theory: ωB97M-V with the def2-TZVPD basis set

Last columns: bonded neighbours and bond lengths (Å).
CARTESIAN COORDINATES (ANGSTROEM)
1 C 1.7116 -0.5794 0.4137  C2 1.537, C3 1.626, H4 1.069, H5 1.121
2 C 2.1201 -1.3644 -0.8429  C1 1.537, H6 1.047, H8 1.106, H9 1.093
3 C 0.4219 -1.1855 1.1957  C1 1.626, H7 1.147, H10 1.105, H11 1.104
4 H 2.4617 -0.7479 1.1569  C1 1.069
5 H 1.3295 0.4659 0.2805  C1 1.121
6 H 1.3657 -1.6689 -1.5025  C2 1.047
7 H 0.5759 -2.3215 1.1724  C3 1.147
8 H 2.7200 -2.2781 -0.6746  C2 1.106
9 H 2.7411 -0.5646 -1.2539  C2 1.093
10 H 0.5834 -0.7475 2.1971  C3 1.105
11 H -0.4486 -0.6703 0.7521  C3 1.104
12 C -2.3136 1.0185 -0.8109  C13 1.451, H14 1.015, H15 1.058, H16 1.001
13 C -1.6219 1.8916 0.1189  C12 1.451, H17 1.130, H18 1.128, H19 1.068
14 H -3.2669 1.3366 -0.9551  C12 1.015
15 H -1.9045 0.8431 -1.7710  C12 1.058
16 H -2.4793 0.1074 -0.4316  C12 1.001
17 H -1.2104 1.3418 1.0169  C13 1.130
18 H -0.6748 2.2958 -0.3408  C13 1.128
19 H -2.1109 2.8274 0.2790  C13 1.068

<S²>: 0.750
Energy relative to the best compared isomer or geometry (same formula, charge and spin) in kcal/mol: 40.2
Net charge: -1
Gap between HOMO and LUMO (alpha / beta) in eV: 2.68 / 11.19
Multiplicity: 2
E in eV: -5408.7659

Atomic partial charges in e from the natural (NBO) method, atoms 1 to 4: atom 1 (C): -0.5250, atom 2 (C): -0.7018, atom 3 (C): -0.6987, atom 4 (H): 0.1802



[3]
Formula: C5H14
Source: the Open Molecules 2025 dataset
Level of theory: ωB97M-V with the def2-TZVPD basis set

Last columns: bonded neighbours and bond lengths (Å).
CARTESIAN COORDINATES (ANGSTROEM)
1 C -0.4097 -1.8738 -1.9308  C2 1.512, H3 1.088, H4 1.108, H5 1.083
2 C -1.6265 -1.5712 -1.0862  C1 1.512, H6 1.051, H7 1.097, H8 1.091
3 H 0.4763 -1.2727 -1.7365  C1 1.088
4 H -0.0007 -2.8801 -1.7135  C1 1.108
5 H -0.6624 -2.0365 -2.9716  C1 1.083
6 H -1.8397 -0.5422 -1.1051  C2 1.051
7 H -1.5228 -1.7726 -0.0131  C2 1.097
8 H -2.4949 -2.1448 -1.4144  C2 1.091
9 C 0.7203 1.5897 0.5746  C10 1.550, C11 1.548, H12 1.095, H13 1.096
10 C 1.9337 0.7598 1.0667  C9 1.550, H14 1.092, H17 1.085, H18 1.088
11 C -0.5311 1.2994 1.4377  C9 1.548, H15 1.085, H16 1.083, H19 1.093
12 H 0.9253 2.6576 0.4413  C9 1.095
13 H 0.5544 1.2999 -0.4698  C9 1.096
14 H 1.9542 -0.1015 0.3951  C10 1.092
15 H -0.9768 0.3870 1.0552  C11 1.085
16 H -0.2052 1.2832 2.4702  C11 1.083
17 H 1.7241 0.3394 2.0451  C10 1.085
18 H 2.8848 1.2844 1.0079  C10 1.088
19 H -1.2492 2.0942 1.2182  C11 1.093
>>>

8 H 2.2958 0.8379 -2.6064  C2 1.092
9 C -0.5801 -1.6376 2.2895  C10 1.513, C11 1.537, H12 1.090, H13 1.078
10 C 0.3120 -0.4390 2.0496  C9 1.513, H14 1.089, H15 1.093, H18 1.095
11 C -1.9678 -1.5113 1.6413  C9 1.537, H16 1.093, H17 1.099, H19 1.065
12 H -0.6829 -1.8873 3.3457  C9 1.090
13 H -0.2102 -2.5484 1.8478  C9 1.078
14 H 0.2627 -0.0606 1.0299  C10 1.089
15 H -0.0044 0.3625 2.7217  C10 1.093
16 H -2.1530 -2.1705 0.7895  C11 1.093
17 H -2.1481 -0.5357 1.1696  C11 1.099
18 H 1.3776 -0.6246 2.2191  C10 1.095
19 H -2.8004 -1.5536 2.3031  C11 1.065

<S²>: 0.750
Energy relative to the best compared isomer or geometry (same formula, charge and spin) in kcal/mol: 11.0
Net charge: -1
Gap between HOMO and LUMO (alpha / beta) in eV: 2.71 / 12.15
Multiplicity: 2
E in eV: -5410.0315

Atomic partial charges in e from the natural (NBO) method, atoms 1 to 4: atom 1 (C): -0.7362, atom 2 (C): -0.8728, atom 3 (H): 0.1876, atom 4 (H): 0.1926



[2]
Formula: C5H14
Source: the Open Molecules 2025 dataset
Level of theory: ωB97M-V with the def2-TZVPD basis set

Last columns: bonded neighbours and bond lengths (Å).
CARTESIAN COORDINATES (ANGSTROEM)
1 C 1.7116 -0.5794 0.4137  C2 1.537, C3 1.626, H4 1.069, H5 1.121
2 C 2.1201 -1.3644 -0.8429  C1 1.537, H6 1.047, H8 1.106, H9 1.093
3 C 0.4219 -1.1855 1.1957  C1 1.626, H7 1.147, H10 1.105, H11 1.104
4 H 2.4617 -0.7479 1.1569  C1 1.069
5 H 1.3295 0.4659 0.2805  C1 1.121
6 H 1.3657 -1.6689 -1.5025  C2 1.047
7 H 0.5759 -2.3215 1.1724  C3 1.147
8 H 2.7200 -2.2781 -0.6746  C2 1.106
9 H 2.7411 -0.5646 -1.2539  C2 1.093
10 H 0.5834 -0.7475 2.1971  C3 1.105
11 H -0.4486 -0.6703 0.7521  C3 1.104
12 C -2.3136 1.0185 -0.8109  C13 1.451, H14 1.015, H15 1.058, H16 1.001
13 C -1.6219 1.8916 0.1189  C12 1.451, H17 1.130, H18 1.128, H19 1.068
14 H -3.2669 1.3366 -0.9551  C12 1.015
15 H -1.9045 0.8431 -1.7710  C12 1.058
16 H -2.4793 0.1074 -0.4316  C12 1.001
17 H -1.2104 1.3418 1.0169  C13 1.130
18 H -0.6748 2.2958 -0.3408  C13 1.128
19 H -2.1109 2.8274 0.2790  C13 1.068

<S²>: 0.750
Energy relative to the best compared isomer or geometry (same formula, charge and spin) in kcal/mol: 40.2
Net charge: -1
Gap between HOMO and LUMO (alpha / beta) in eV: 2.68 / 11.19
Multiplicity: 2
E in eV: -5408.7659

Atomic partial charges in e from the natural (NBO) method, atoms 1 to 4: atom 1 (C): -0.5250, atom 2 (C): -0.7018, atom 3 (C): -0.6987, atom 4 (H): 0.1802



[3]
Formula: C5H14
Source: the Open Molecules 2025 dataset
Level of theory: ωB97M-V with the def2-TZVPD basis set

Last columns: bonded neighbours and bond lengths (Å).
CARTESIAN COORDINATES (ANGSTROEM)
1 C -0.4097 -1.8738 -1.9308  C2 1.512, H3 1.088, H4 1.108, H5 1.083
2 C -1.6265 -1.5712 -1.0862  C1 1.512, H6 1.051, H7 1.097, H8 1.091
3 H 0.4763 -1.2727 -1.7365  C1 1.088
4 H -0.0007 -2.8801 -1.7135  C1 1.108
5 H -0.6624 -2.0365 -2.9716  C1 1.083
6 H -1.8397 -0.5422 -1.1051  C2 1.051
7 H -1.5228 -1.7726 -0.0131  C2 1.097
8 H -2.4949 -2.1448 -1.4144  C2 1.091
9 C 0.7203 1.5897 0.5746  C10 1.550, C11 1.548, H12 1.095, H13 1.096
10 C 1.9337 0.7598 1.0667  C9 1.550, H14 1.092, H17 1.085, H18 1.088
11 C -0.5311 1.2994 1.4377  C9 1.548, H15 1.085, H16 1.083, H19 1.093
12 H 0.9253 2.6576 0.4413  C9 1.095
13 H 0.5544 1.2999 -0.4698  C9 1.096
14 H 1.9542 -0.1015 0.3951  C10 1.092